-- Data --
An optimized crystal structure of Mn3Ni3Sn2, computed with PBE.

energy of formation = -39 meV per atom
density = 8.50 g/cm³

abc: 4.3119 4.3119 21.0575
angles: 90.00 90.00 120.00
Space group R3m (No. 160, hexagonal axes)
Unique sites:
Mn 0.0000 0.0000 0.0000 (multiplicity 3)
Mn 0.0000 0.0000 0.1281 (multiplicity 3)
Mn 0.0000 0.0000 0.5026 (multiplicity 3)
Ni 0.0000 0.0000 0.3798 (multiplicity 3)
Ni 0.0000 0.0000 0.6233 (multiplicity 3)
Ni 0.0000 0.0000 0.8734 (multiplicity 3)
Sn 0.0000 0.0000 0.2550 (multiplicity 3)
Sn 0.0000 0.0000 0.7469 (multiplicity 3)

~~~~~

Compound: DyV2Fe5Co5
Source: the Materials Project database
Functional: PBE
Structure: optimized geometry

The formation enthalpy at 0 K is -89.0 meV per atom. Its energy is -7.83 eV per atom.

a = 4.6541 Å, b = 8.3567 Å, c = 8.4011 Å
α = 90.00°, β = 90.00°, γ = 90.00°
Space group Imm2 (No. 44)
Unique sites:
Dy 0.0000 0.0000 0.0000 (multiplicity 2)
V 0.0000 0.0000 0.3599 (multiplicity 2)
V 0.0000 0.0000 0.6434 (multiplicity 2)
Fe 0.0000 0.5000 0.7262 (multiplicity 2)
Fe 0.2504 0.2487 0.7514 (multiplicity 8)
Co 0.0000 0.2750 0.5018 (multiplicity 4)
Co 0.0000 0.3590 0.0000 (multiplicity 4)
Co 0.0000 0.5000 0.2772 (multiplicity 2)
-- Job --
What is needed: transcribe only the last part of the data further above, starting with the line that has "0.2550 (multiplicity".
-- Done --
Sn 0.0000 0.0000 0.2550 (multiplicity 3)
Sn 0.0000 0.0000 0.7469 (multiplicity 3)

~~~~~

Compound: DyV2Fe5Co5
Source: the Materials Project database
Functional: PBE
Structure: optimized geometry

The formation enthalpy at 0 K is -89.0 meV per atom. Its energy is -7.83 eV per atom.

a = 4.6541 Å, b = 8.3567 Å, c = 8.4011 Å
α = 90.00°, β = 90.00°, γ = 90.00°
Space group Imm2 (No. 44)
Unique sites:
Dy 0.0000 0.0000 0.0000 (multiplicity 2)
V 0.0000 0.0000 0.3599 (multiplicity 2)
V 0.0000 0.0000 0.6434 (multiplicity 2)
Fe 0.0000 0.5000 0.7262 (multiplicity 2)
Fe 0.2504 0.2487 0.7514 (multiplicity 8)
Co 0.0000 0.2750 0.5018 (multiplicity 4)
Co 0.0000 0.3590 0.0000 (multiplicity 4)
Co 0.0000 0.5000 0.2772 (multiplicity 2)